## Material
********
ORCA calculation (ωB97M-V/def2-TZVPD) on C54H69ClGe3O8PRb as an isolated structure at a distorted geometry.

Geometry as XYZ:
```
137
Properties=species:S:1:pos:R:3:forces:R:3
Rb 13.465756 18.541301 14.026674 -0.1 0.0 -0.2
C 11.023942 16.218627 9.031357 -0.5 1.5 -1.4
C 11.147259 16.473877 10.511441 0.1 -0.5 -0.1
Ge 9.431323 16.130275 11.401151 -0.2 -0.6 0.3
C 8.321706 17.701461 11.015278 -0.2 -0.1 -0.7
C 6.827716 17.335404 10.950094 0.4 -0.5 -0.2
C 8.757245 14.291553 10.908148 0.6 2.1 0.6
C 8.676427 13.648556 12.066073 0.5 0.1 1.5
Ge 9.221337 14.953736 13.591408 -0.5 -0.2 -2.1
C 7.838898 15.417174 14.886372 1.3 -1.0 -0.1
C 7.986872 14.699057 16.214608 1.3 0.9 0.2
C 10.828555 14.460126 14.516231 -1.1 -0.7 0.8
C 12.046210 14.236786 13.683567 0.3 0.7 0.3
C 8.569057 12.197005 12.166612 0.6 -0.4 -1.9
C 7.709418 11.563494 13.024091 -0.1 1.0 0.7
C 7.688250 10.206455 13.090905 -0.9 -1.9 -0.3
C 8.406669 9.417011 12.208966 1.2 1.0 0.0
C 9.307296 10.033577 11.328371 -0.8 0.2 -0.1
C 9.337376 11.407833 11.256760 -0.1 0.8 1.3
H 11.920759 16.482104 8.419363 -0.3 -0.3 0.7
H 10.245551 16.910611 8.603290 0.3 -0.9 0.2
H 10.758589 15.186911 8.839690 -0.1 -0.2 -0.3
H 11.367257 17.513631 10.690757 0.4 0.4 0.2
H 11.950627 15.826105 10.838552 0.2 0.1 0.6
H 8.633268 18.186165 10.058496 -0.1 -0.3 0.7
H 8.576855 18.374306 11.836699 -0.3 0.2 -0.1
H 6.620015 16.620431 10.140610 0.3 0.0 0.2
H 6.224476 18.187530 10.685211 -0.4 0.5 0.4
H 6.485333 16.849349 11.876508 0.0 0.4 -0.2
H 8.669051 13.824378 9.962782 -0.3 -0.6 -1.0
H 6.903805 15.238999 14.427417 -1.2 -0.1 -0.4
H 7.988773 16.454493 14.988719 -0.1 1.5 0.4
H 7.758410 13.661795 16.124780 -0.2 -0.8 0.1
H 7.350754 15.185579 16.916727 -0.8 0.0 0.8
H 9.004539 14.807291 16.672830 -0.7 -0.2 -0.6
H 10.578259 13.549316 15.092975 0.2 0.3 -0.1
H 10.938235 15.242019 15.234457 0.3 0.6 0.6
H 12.085900 15.006030 12.877690 0.4 -0.6 0.5
H 11.872129 13.254037 13.278277 0.8 -0.4 -0.6
H 12.914267 14.282135 14.387029 -0.2 -0.2 -1.1
H 7.059321 12.170826 13.644080 0.1 -0.1 0.2
H 7.008735 9.685783 13.752612 -0.1 0.2 0.2
H 8.381127 8.361065 12.275908 -0.2 -0.9 0.1
H 9.935782 9.491013 10.647619 0.1 -0.5 -0.1
H 10.020974 11.937203 10.604009 0.0 -0.1 -0.1
O 10.045253 18.216020 17.187529 0.7 -0.6 -0.1
C 11.186116 17.683447 17.225378 -0.1 0.2 -0.5
O 11.712570 16.946902 16.336136 0.1 0.8 0.4
C 12.011031 17.909077 18.488047 0.3 1.0 0.9
C 12.070228 16.880493 19.423142 0.6 0.5 0.1
C 12.792432 17.013359 20.607108 0.4 1.8 -0.6
C 13.404943 18.248374 20.908232 -0.8 -0.7 0.1
C 13.263933 19.323698 20.027930 1.0 -1.2 0.9
C 12.646557 19.155976 18.823184 -1.1 -0.4 -1.6
P 12.540875 20.462338 17.534083 0.2 0.0 -0.9
C 14.153457 21.359996 17.416231 0.4 -0.7 0.8
C 14.219728 22.677199 16.943703 0.6 -1.5 0.2
C 15.438859 23.242974 16.629352 -0.5 0.8 0.0
C 16.629170 22.584295 16.866383 0.4 -0.2 0.2
C 16.577257 21.317676 17.398344 0.5 -1.6 0.4
C 15.356844 20.688324 17.669191 0.1 0.6 -0.5
C 11.538309 21.804954 18.229371 0.6 -0.7 0.0
C 10.691116 22.394833 17.319340 -0.6 1.0 0.3
C 9.876302 23.474318 17.673908 0.2 -1.0 1.1
C 9.879761 23.825586 19.033936 0.0 1.1 0.0
C 10.761425 23.249595 19.975341 -0.3 -0.5 -2.1
C 11.642855 22.240837 19.531792 -1.3 1.6 0.9
H 11.582247 15.956221 19.224063 -0.3 -0.7 -0.3
H 12.904069 16.178221 21.247237 0.0 -0.6 0.7
H 13.929311 18.387348 21.851792 0.0 -0.1 -0.2
H 13.818928 20.208802 20.255970 0.0 0.6 0.0
H 13.317538 23.191490 16.774205 -0.8 0.7 -0.3
H 15.362106 24.231383 16.200579 0.5 0.2 -0.1
H 17.624683 22.978199 16.696371 -0.3 0.4 -0.3
H 17.520667 20.739065 17.567290 -0.9 0.7 -0.1
H 15.341453 19.679592 18.043374 0.0 -0.3 0.1
H 10.733011 22.037764 16.320195 -0.2 -0.3 -0.8
H 9.169085 23.881556 16.954470 0.3 0.2 0.2
H 9.260981 24.693799 19.342678 0.3 -0.8 -0.1
H 10.709370 23.581383 20.985984 0.2 0.2 0.6
H 12.375066 21.903240 20.235031 0.3 -0.6 0.1
O 14.589897 17.100216 16.080271 -1.5 -0.2 0.6
H 13.590413 17.014335 16.265184 1.1 -0.1 -0.1
H 14.971971 16.949797 16.951743 0.1 0.0 -0.1
O 8.261066 19.677557 18.949376 0.1 -0.2 -0.4
********

## What to do
Your job: set down the whole of the calculation results further above without altering anything.

## Completed
ORCA calculation (ωB97M-V/def2-TZVPD) on C54H69ClGe3O8PRb as an isolated structure at a distorted geometry.

Geometry as XYZ:
```
137
Properties=species:S:1:pos:R:3:forces:R:3
Rb 13.465756 18.541301 14.026674 -0.1 0.0 -0.2
C 11.023942 16.218627 9.031357 -0.5 1.5 -1.4
C 11.147259 16.473877 10.511441 0.1 -0.5 -0.1
Ge 9.431323 16.130275 11.401151 -0.2 -0.6 0.3
C 8.321706 17.701461 11.015278 -0.2 -0.1 -0.7
C 6.827716 17.335404 10.950094 0.4 -0.5 -0.2
C 8.757245 14.291553 10.908148 0.6 2.1 0.6
C 8.676427 13.648556 12.066073 0.5 0.1 1.5
Ge 9.221337 14.953736 13.591408 -0.5 -0.2 -2.1
C 7.838898 15.417174 14.886372 1.3 -1.0 -0.1
C 7.986872 14.699057 16.214608 1.3 0.9 0.2
C 10.828555 14.460126 14.516231 -1.1 -0.7 0.8
C 12.046210 14.236786 13.683567 0.3 0.7 0.3
C 8.569057 12.197005 12.166612 0.6 -0.4 -1.9
C 7.709418 11.563494 13.024091 -0.1 1.0 0.7
C 7.688250 10.206455 13.090905 -0.9 -1.9 -0.3
C 8.406669 9.417011 12.208966 1.2 1.0 0.0
C 9.307296 10.033577 11.328371 -0.8 0.2 -0.1
C 9.337376 11.407833 11.256760 -0.1 0.8 1.3
H 11.920759 16.482104 8.419363 -0.3 -0.3 0.7
H 10.245551 16.910611 8.603290 0.3 -0.9 0.2
H 10.758589 15.186911 8.839690 -0.1 -0.2 -0.3
H 11.367257 17.513631 10.690757 0.4 0.4 0.2
H 11.950627 15.826105 10.838552 0.2 0.1 0.6
H 8.633268 18.186165 10.058496 -0.1 -0.3 0.7
H 8.576855 18.374306 11.836699 -0.3 0.2 -0.1
H 6.620015 16.620431 10.140610 0.3 0.0 0.2
H 6.224476 18.187530 10.685211 -0.4 0.5 0.4
H 6.485333 16.849349 11.876508 0.0 0.4 -0.2
H 8.669051 13.824378 9.962782 -0.3 -0.6 -1.0
H 6.903805 15.238999 14.427417 -1.2 -0.1 -0.4
H 7.988773 16.454493 14.988719 -0.1 1.5 0.4
H 7.758410 13.661795 16.124780 -0.2 -0.8 0.1
H 7.350754 15.185579 16.916727 -0.8 0.0 0.8
H 9.004539 14.807291 16.672830 -0.7 -0.2 -0.6
H 10.578259 13.549316 15.092975 0.2 0.3 -0.1
H 10.938235 15.242019 15.234457 0.3 0.6 0.6
H 12.085900 15.006030 12.877690 0.4 -0.6 0.5
H 11.872129 13.254037 13.278277 0.8 -0.4 -0.6
H 12.914267 14.282135 14.387029 -0.2 -0.2 -1.1
H 7.059321 12.170826 13.644080 0.1 -0.1 0.2
H 7.008735 9.685783 13.752612 -0.1 0.2 0.2
H 8.381127 8.361065 12.275908 -0.2 -0.9 0.1
H 9.935782 9.491013 10.647619 0.1 -0.5 -0.1
H 10.020974 11.937203 10.604009 0.0 -0.1 -0.1
O 10.045253 18.216020 17.187529 0.7 -0.6 -0.1
C 11.186116 17.683447 17.225378 -0.1 0.2 -0.5
O 11.712570 16.946902 16.336136 0.1 0.8 0.4
C 12.011031 17.909077 18.488047 0.3 1.0 0.9
C 12.070228 16.880493 19.423142 0.6 0.5 0.1
C 12.792432 17.013359 20.607108 0.4 1.8 -0.6
C 13.404943 18.248374 20.908232 -0.8 -0.7 0.1
C 13.263933 19.323698 20.027930 1.0 -1.2 0.9
C 12.646557 19.155976 18.823184 -1.1 -0.4 -1.6
P 12.540875 20.462338 17.534083 0.2 0.0 -0.9
C 14.153457 21.359996 17.416231 0.4 -0.7 0.8
C 14.219728 22.677199 16.943703 0.6 -1.5 0.2
C 15.438859 23.242974 16.629352 -0.5 0.8 0.0
C 16.629170 22.584295 16.866383 0.4 -0.2 0.2
C 16.577257 21.317676 17.398344 0.5 -1.6 0.4
C 15.356844 20.688324 17.669191 0.1 0.6 -0.5
C 11.538309 21.804954 18.229371 0.6 -0.7 0.0
C 10.691116 22.394833 17.319340 -0.6 1.0 0.3
C 9.876302 23.474318 17.673908 0.2 -1.0 1.1
C 9.879761 23.825586 19.033936 0.0 1.1 0.0
C 10.761425 23.249595 19.975341 -0.3 -0.5 -2.1
C 11.642855 22.240837 19.531792 -1.3 1.6 0.9
H 11.582247 15.956221 19.224063 -0.3 -0.7 -0.3
H 12.904069 16.178221 21.247237 0.0 -0.6 0.7
H 13.929311 18.387348 21.851792 0.0 -0.1 -0.2
H 13.818928 20.208802 20.255970 0.0 0.6 0.0
H 13.317538 23.191490 16.774205 -0.8 0.7 -0.3
H 15.362106 24.231383 16.200579 0.5 0.2 -0.1
H 17.624683 22.978199 16.696371 -0.3 0.4 -0.3
H 17.520667 20.739065 17.567290 -0.9 0.7 -0.1
H 15.341453 19.679592 18.043374 0.0 -0.3 0.1
H 10.733011 22.037764 16.320195 -0.2 -0.3 -0.8
H 9.169085 23.881556 16.954470 0.3 0.2 0.2
H 9.260981 24.693799 19.342678 0.3 -0.8 -0.1
H 10.709370 23.581383 20.985984 0.2 0.2 0.6
H 12.375066 21.903240 20.235031 0.3 -0.6 0.1
O 14.589897 17.100216 16.080271 -1.5 -0.2 0.6
H 13.590413 17.014335 16.265184 1.1 -0.1 -0.1
H 14.971971 16.949797 16.951743 0.1 0.0 -0.1
O 8.261066 19.677557 18.949376 0.1 -0.2 -0.4